## Brief
Please quote the part of the calculation results further down that starts with the line with "28.20" and stops after the one with "0.488 0.259".

## Input
'''
Tb2Pm5Y12: computed PXRD pattern (Cu Kα, 1.54184 Å), based on a crystal structure in Alexandria, relaxed with GGA-PBE.

Largest 12 diffraction maxima, sorted by position, 2θ from 10° to 90°:
| (hkl) | 2θ (°) | Rel. int. |
| --- | --- | --- |
| 1 -2 1 | 27.12 | 312 |
| 0 3 2 | 28.20 | 169 |
| 2 1 1 | 30.60 | 524 |
| 1 0 -3 | 30.91 | 1000 |
| 0 3 3 | 31.42 | 811 |
| 1 -1 3 | 32.05 | 169 |
| 1 -2 2 | 32.18 | 643 |
| 1 3 0 | 33.04 | 746 |
| 1 1 4 | 33.37 | 432 |
| -2 2 1 | 35.60 | 302 |
| 2 4 4 | 50.25 | 180 |
| 0 1 7 | 58.30 | 163 |

Atomic structure:
```
data_Tb2Pm5Y12
_chemical_formula_sum 'Tb2 Pm5 Y12'
_space_group_name_H-M_alt 'P -1'
_space_group_IT_number 2
_cell_length_a 6.0817
_cell_length_b 9.7897
_cell_length_c 11.3688
_cell_angle_alpha 69.92
_cell_angle_beta 82.74
_cell_angle_gamma 88.54
loop_
_space_group_symop_operation_xyz
'x,y,z'
'-x,-y,-z'
loop_
_atom_site_label
_atom_site_type_symbol
_atom_site_fract_x
_atom_site_fract_y
_atom_site_fract_z
Tb1 Tb 0.2160 0.4308 0.0810
Pm1 Pm 0.0723 0.8174 0.0152
Pm2 Pm 0.4179 0.6881 0.4567
Pm3 Pm 0.5000 0.0000 0.5000
Y1 Y 0.0045 0.5434 0.3330
Y2 Y 0.0762 0.1786 0.3941
Y3 Y 0.1143 0.0971 0.7121
Y4 Y 0.3345 0.6844 0.7754
Y5 Y 0.3972 0.0380 0.1542
Y6 Y 0.4586 0.3159 0.8432
```

=====

Computed powder diffractogram of RbZr4Br8 for Cu Kα, 1.54184 Å, from DFT lattice parameters and positions (GGA-PBE).
Peak positions follow from Bragg's law for the DFT cell and can differ from measured ones.

Structural model:
```
data_RbZr4Br8
_chemical_formula_sum 'Rb2 Zr8 Br16'
_cell_length_a 19.5679
_cell_length_b 3.6057
_cell_length_c 13.7499
_cell_angle_alpha 90.00
_cell_angle_beta 134.02
_cell_angle_gamma 90.00
_space_group_name_H-M_alt 'C 1 2/m 1'
_space_group_IT_number 12
loop_
_space_group_symop_operation_xyz
'x,y,z'
'-x,-y,-z'
'-x,y,-z'
'x,-y,z'
'x+1/2,y+1/2,z'
'-x+1/2,-y+1/2,-z'
'-x+1/2,y+1/2,-z'
'x+1/2,-y+1/2,z'
loop_
_atom_site_label
_atom_site_type_symbol
_atom_site_fract_x
_atom_site_fract_y
_atom_site_fract_z
_atom_site_occupancy
Rb1 Rb 0.0000 0.0000 0.0000 1
Zr1 Zr 0.1764 0.0000 0.4817 1
Zr2 Zr 0.1925 0.5000 0.8713 1
Br1 Br 0.0372 0.0000 0.7139 1
Br2 Br 0.1324 0.5000 0.2912 1
Br3 Br 0.1602 0.5000 0.6235 1
Br4 Br 0.1670 0.5000 0.0438 1
```

Main lines, by angle (2θ from 15° to 90°):
2θ (°)  d [Å]  I (rel.)
28.78  3.102  24
31.29  2.859  100
31.57  2.834  91
34.04  2.634  22
36.22  2.480  59
36.32  2.473  25
36.73  2.447  72
37.72  2.385  36
38.38  2.345  39
39.32  2.292  28
48.66  1.871  30
50.63  1.803  38

=====

# 1
# GePbS6O21
Computed XRD peak list, CuKα. Input: a GGA-PBE-relaxed structure.
Lines closer than 0.1° are merged.

Structural model:
```
data_GePbS6O21
_cell_length_a 9.340
_cell_length_b 9.556
_cell_length_c 11.231
_cell_angle_alpha 89.77
_cell_angle_beta 87.43
_cell_angle_gamma 61.00
_space_group_name_H-M_alt 'P -1'
_space_group_IT_number 2
_space_group_name_Hall '-P 1'
loop_
_atom_site_label
_atom_site_fract_x
_atom_site_fract_y
_atom_site_fract_z
Ge1 0.019 0.488 0.259
Pb1 0.309 0.883 0.376
S1 0.072 0.756 0.151
S2 0.110 0.732 0.627
S3 0.194 0.149 0.670
S4 0.297 0.165 0.130
S5 0.317 0.491 0.791
S6 0.358 0.268 0.353
O1 0.020 0.110 0.339
O2 0.052 0.609 0.617
O3 0.080 0.815 0.037
O4 0.082 0.591 0.140
O5 0.084 0.324 0.641
O6 0.123 0.294 0.165
O7 0.124 0.129 0.801
O8 0.166 0.052 0.586
O9 0.173 0.757 0.245
O10 0.175 0.459 0.824
O11 0.210 0.434 0.346
O12 0.212 0.717 0.523
O13 0.220 0.680 0.744
O14 0.313 0.155 0.405
O15 0.322 0.012 0.171
O16 0.347 0.178 0.011
O17 0.360 0.111 0.688
O18 0.394 0.501 0.895
O19 0.411 0.217 0.212
O20 0.415 0.393 0.690
O21 0.491 0.279 0.400
```

Most intense lines, 10 to 90 degrees two-theta, low angle first:
'''

## Solution
| 0 3 2 | 28.20 | 169 |
| 2 1 1 | 30.60 | 524 |
| 1 0 -3 | 30.91 | 1000 |
| 0 3 3 | 31.42 | 811 |
| 1 -1 3 | 32.05 | 169 |
| 1 -2 2 | 32.18 | 643 |
| 1 3 0 | 33.04 | 746 |
| 1 1 4 | 33.37 | 432 |
| -2 2 1 | 35.60 | 302 |
| 2 4 4 | 50.25 | 180 |
| 0 1 7 | 58.30 | 163 |

Atomic structure:
```
data_Tb2Pm5Y12
_chemical_formula_sum 'Tb2 Pm5 Y12'
_space_group_name_H-M_alt 'P -1'
_space_group_IT_number 2
_cell_length_a 6.0817
_cell_length_b 9.7897
_cell_length_c 11.3688
_cell_angle_alpha 69.92
_cell_angle_beta 82.74
_cell_angle_gamma 88.54
loop_
_space_group_symop_operation_xyz
'x,y,z'
'-x,-y,-z'
loop_
_atom_site_label
_atom_site_type_symbol
_atom_site_fract_x
_atom_site_fract_y
_atom_site_fract_z
Tb1 Tb 0.2160 0.4308 0.0810
Pm1 Pm 0.0723 0.8174 0.0152
Pm2 Pm 0.4179 0.6881 0.4567
Pm3 Pm 0.5000 0.0000 0.5000
Y1 Y 0.0045 0.5434 0.3330
Y2 Y 0.0762 0.1786 0.3941
Y3 Y 0.1143 0.0971 0.7121
Y4 Y 0.3345 0.6844 0.7754
Y5 Y 0.3972 0.0380 0.1542
Y6 Y 0.4586 0.3159 0.8432
```

=====

Computed powder diffractogram of RbZr4Br8 for Cu Kα, 1.54184 Å, from DFT lattice parameters and positions (GGA-PBE).
Peak positions follow from Bragg's law for the DFT cell and can differ from measured ones.

Structural model:
```
data_RbZr4Br8
_chemical_formula_sum 'Rb2 Zr8 Br16'
_cell_length_a 19.5679
_cell_length_b 3.6057
_cell_length_c 13.7499
_cell_angle_alpha 90.00
_cell_angle_beta 134.02
_cell_angle_gamma 90.00
_space_group_name_H-M_alt 'C 1 2/m 1'
_space_group_IT_number 12
loop_
_space_group_symop_operation_xyz
'x,y,z'
'-x,-y,-z'
'-x,y,-z'
'x,-y,z'
'x+1/2,y+1/2,z'
'-x+1/2,-y+1/2,-z'
'-x+1/2,y+1/2,-z'
'x+1/2,-y+1/2,z'
loop_
_atom_site_label
_atom_site_type_symbol
_atom_site_fract_x
_atom_site_fract_y
_atom_site_fract_z
_atom_site_occupancy
Rb1 Rb 0.0000 0.0000 0.0000 1
Zr1 Zr 0.1764 0.0000 0.4817 1
Zr2 Zr 0.1925 0.5000 0.8713 1
Br1 Br 0.0372 0.0000 0.7139 1
Br2 Br 0.1324 0.5000 0.2912 1
Br3 Br 0.1602 0.5000 0.6235 1
Br4 Br 0.1670 0.5000 0.0438 1
```

Main lines, by angle (2θ from 15° to 90°):
2θ (°)  d [Å]  I (rel.)
28.78  3.102  24
31.29  2.859  100
31.57  2.834  91
34.04  2.634  22
36.22  2.480  59
36.32  2.473  25
36.73  2.447  72
37.72  2.385  36
38.38  2.345  39
39.32  2.292  28
48.66  1.871  30
50.63  1.803  38

=====

# 1
# GePbS6O21
Computed XRD peak list, CuKα. Input: a GGA-PBE-relaxed structure.
Lines closer than 0.1° are merged.

Structural model:
```
data_GePbS6O21
_cell_length_a 9.340
_cell_length_b 9.556
_cell_length_c 11.231
_cell_angle_alpha 89.77
_cell_angle_beta 87.43
_cell_angle_gamma 61.00
_space_group_name_H-M_alt 'P -1'
_space_group_IT_number 2
_space_group_name_Hall '-P 1'
loop_
_atom_site_label
_atom_site_fract_x
_atom_site_fract_y
_atom_site_fract_z
Ge1 0.019 0.488 0.259